-- Brief --
Now find "_space_group_IT_number" and "_space_group_name_Hall 'P" in the entries below, and return these two lines and those between.

-- Input --
{"formula": "Li2Mo2O7", "functional": "PBE with a Hubbard U", "state": "relaxed", "e_tot_ev_per_atom": -6.586, "e_above_lowest_polymorph_mev_per_atom": 0, "magmom_total_mub_per_fu": 0.000, "dos_ef_per_ev_fu": 0.00, "cell": [[-3.724, -3.664, -2.487], [4.547, -3.333, -1.299], [-1.492, -0.975, 10.659]], "species": ["O", "O", "O", "O", "O", "O", "O", "O", "O", "O", "O", "O", "O", "O", "Li", "Li", "Li", "Li", "Mo", "Mo", "Mo", "Mo"], "frac_coords": [[0.421, 0.374, 0.361], [0.605, 0.903, 0.396], [0.626, 0.579, 0.139], [0.097, 0.395, 0.104], [0.311, 0.966, 0.123], [0.034, 0.689, 0.377], [0.689, 0.034, 0.877], [0.921, 0.079, 0.250], [0.079, 0.921, 0.750], [0.374, 0.421, 0.861], [0.395, 0.097, 0.604], [0.966, 0.311, 0.623], [0.579, 0.626, 0.639], [0.903, 0.605, 0.896], [0.731, 0.395, 0.976], [0.269, 0.605, 0.024], [0.605, 0.269, 0.524], [0.395, 0.731, 0.476], [0.191, 0.210, 0.210], [0.210, 0.191, 0.710], [0.809, 0.790, 0.790], [0.790, 0.809, 0.290]]}

=====

First-principles (PBE-GGA) data for B5C7 after structural relaxation, as listed in Alexandria via LeMat-Bulk.

Geometry as CIF:
```
data_B5C7
_space_group_name_H-M_alt 'P 1'
_space_group_IT_number 1
_space_group_name_Hall 'P 1'
_cell_length_a 4.658
_cell_length_b 2.608
_cell_length_c 6.640
_cell_angle_alpha 90.00
_cell_angle_beta 91.36
_cell_angle_gamma 90.00
loop_
_atom_site_label
_atom_site_type_symbol
_atom_site_fract_x
_atom_site_fract_y
_atom_site_fract_z
B1 B 0.000 0.000 0.000
B2 B 0.002 0.000 0.639
B3 B 0.167 0.500 0.367
B4 B 0.492 0.500 0.711
B5 B 0.667 0.000 0.372
C1 C 0.174 0.500 0.612
C2 C 0.336 0.000 0.267
C3 C 0.344 0.000 0.037
C4 C 0.497 0.500 0.958
C5 C 0.672 0.000 0.615
C6 C 0.814 0.500 0.042
C7 C 0.835 0.500 0.267
```

Calculated volume (Å³ per atom): 6.72
DFT total energy (eV/atom): -7.823

-- Outcome --
_space_group_IT_number 1
_space_group_name_Hall 'P 1'